“It’s best for you to know this and nothing else.”
“That’s not fair,” I spit, shaking my head. “You give me snippets of information and expect that to be enough.”
“I’m doing this to protect you,” she replies sympathetically. “Your mother doesn’t want to see you. But that doesn’t mean she doesn’t love you. We are doing this to protect you.”
“Protect me?” I exclaim. “From what?”
So help me God, if Gianna doesn’t explain, I’ll tear this house to the ground.
“From the man who is hunting her. His name is Aldo Cattaneo.”
And just like that, my purpose in this entire game is finally revealed.
“H-he came to the orphanage. He was going to adopt me, but you did first. You knew he came?”
Gianna nods. “Your mother is still in contact with the sisters at the orphanage. They told her about Aldo. She didn’t come herself because she is in hiding. From him.”
I don’t know what to say or think because this doesn’t make sense.
“What did she do to him?”
“She stole from him.”
“What did she steal?”
“His heart,” she finally reveals. “A lover scorned is a dangerous thing, and someone like Aldo—the most powerful drug dealer in all of the East Coast—that makes him lethal. A man like Aldo has everything he wants, and if he doesn’t, he buys it, but he could never buy your mother.
“She left you on those steps to protect you as she had you in secret. If anyone were to find out you existed, they would exploit you. Aldo would use you to smoke out your mother because he’s been looking for her for years.”
“None of this makes any sense,” I confess, stunned beyond words. “Why have you trained me the way you have all these years? And why tell me this now?”
Gianna purses her lips as if weighing up whether she should share more secrets. “Because it’s simple—you kill Aldo, you get your mother back. I see I cannot hide the truth from you any longer. You will eventually seek her out. So I would rather tell you than you hurt yourself trying.”
I slump onto the end of the bed, fearful my legs won’t hold me up. “This entire time, you were training me for this?”
Molecular data from another source follow >
-- begin --
(1)
15
Properties=species:S:1:pos:R:3 method="wB97M-V/def2-TZVPD" total_charge=-1 lumo_ev="3.0 / 3.0" e_tot_ev=-16154.214 multiplicity=2
C -1.58703 0.27360 -1.06653
C -0.81554 -0.64394 -0.10537
C -1.17733 -0.18884 1.37234
S 0.24291 0.06312 2.41366
H -1.65979 -0.04429 -2.10126
H -1.25258 1.29868 -0.92873
H -2.62573 0.28790 -0.69532
H -1.00672 -1.70842 -0.17082
H 0.24055 -0.39768 -0.16869
H -1.88782 -0.88482 1.81112
H -1.64429 0.78321 1.28369
H 0.64567 -1.21975 2.58715
H 3.22865 0.87122 -4.62835
H 1.81525 0.55442 -4.40597
O 2.68375 0.39362 -3.97349


(2)
15
Properties=species:S:1:pos:R:3 method="wB97M-V/def2-TZVPD" lumo_ev=-1.0 e_tot_ev=-16151.235 multiplicity=1
C -0.80167 0.47570 1.96050
C -1.69081 0.31614 0.87357
S 0.63264 0.29298 -0.85948
C 1.25108 0.87977 -2.53265
H -0.58027 1.05453 0.83537
H -0.91034 1.10805 2.83025
H -0.22765 -0.42551 2.14223
H -1.52184 -0.64533 0.41465
H -2.64695 0.80418 0.76570
H 1.09912 1.94982 -2.46469
H 0.56142 0.43534 -3.23943
H 2.25951 0.49417 -2.59179
H 0.66159 -1.48088 0.54405
H 1.11584 -2.92937 0.32140
O 0.79832 -2.32960 1.00032


(3)
15
Properties=species:S:1:pos:R:3 method="wB97M-V/def2-TZVPD" lumo_ev=0.7 e_tot_ev=-16154.779 multiplicity=1
C -2.17717 0.73854 -0.04708
C -0.61392 0.62920 0.22707
S -0.17199 -0.81943 1.20062
C 1.59455 -0.58851 1.47109
H -2.24668 1.60422 -0.75706
H -2.45662 0.78650 1.06501
H -2.71320 -0.11023 -0.46410
H -0.16927 1.49107 0.78402
H -0.05844 0.58851 -0.76672
H 2.32489 -0.88678 0.71495
H 1.66424 0.52374 1.50862
H 1.75662 -0.89864 2.45035
H 0.49020 -1.33249 -2.23914
H 1.46349 -0.69805 -3.01446
O 1.31330 -1.02764 -2.13317

=====

A molecular structure, C12H23ClN5O5ReS5. Source: OMol25; level of theory: ωB97M-V/def2-TZVPD.

Atoms and positions in Å:
Re1 -0.735 -0.215 0.413
C1 0.607 -2.047 -2.231
C2 0.786 -0.643 -2.770
S1 0.721 0.650 -1.454
C3 -0.434 1.876 -2.200
C4 -1.863 1.416 -2.416
S2 -2.614 0.523 -0.972
C5 -3.263 -0.966 -1.809
C6 -2.208 -1.885 -2.391
S3 -0.880 -2.309 -1.191
H1 1.437 -2.302 -1.571
H2 0.574 -2.764 -3.055
H3 0.059 -0.384 -3.535
H4 1.780 -0.551 -3.213
H5 0.011 2.192 -3.146
H6 -0.394 2.722 -1.515
H7 -1.968 0.791 -3.301
H8 -2.484 2.302 -2.568
H9 -3.949 -0.624 -2.587
H10 -3.847 -1.464 -1.033
H11 -1.742 -1.473 -3.283
H12 -2.692 -2.829 -2.658
O1 0.780 1.805 1.837
C7 -0.274 1.648 1.292
C8 4.297 -1.866 -1.185
C9 4.331 -2.102 0.316
C10 3.064 -1.790 0.994
-- stop --
Gianna nods, sitting beside me. I don’t think she’s ever been this close to me before, and it makes sense. She never adopted me because she wanted a child. She did so as a favor to a friend. If this doesn’t prove Gianna’s loyalty, then I don’t know what does.
This explains why she never treated me as a daughter, and that’s because I wasn’t.
I was someone else’s.
“But getting to Aldo won’t be easy. He’s never alone. He welcomes the strays and feeds them; he cares for them and earns their trust, but in the end, it’s all for his own gain.”
Although my memory of him is hazy, I don’t remember getting that feeling from him. I thought he was kind. But I guess this correlates with what Gianna is saying.
Aldo is a predator, and a smart one at that.
But there isn’t a question about it; Aldo must die, and he must die by my hand.
'''
A molecular structure, C23H20BrLiO4S, computed with ωB97M-V/def2-TZVPD.

Last column: Löwdin charge in e.
Positions of all 50 atoms, in Å:
Li -0.354229 0.116873 -1.204523  0.539
C -3.912180 2.523703 -2.249275  -0.060
C -3.519469 1.538278 -1.180898  -0.278
C -2.859010 1.971812 -0.040690  -0.033
C -2.400387 1.073395 0.918941  -0.270
C -1.564803 1.550353 2.070190  -0.041
C -2.648441 -0.281608 0.726024  -0.020
C -3.316595 -0.748804 -0.405767  -0.285
C -3.515641 -2.224427 -0.615342  -0.065
C -3.744284 0.174264 -1.352679  -0.031
H -3.074034 2.713859 -2.923854  0.083
H -4.200946 3.481493 -1.813109  0.069
H -4.746902 2.152897 -2.847561  0.065
H -2.626323 3.024936 0.073139  0.122
H -0.530460 1.650114 1.733345  0.081
H -1.572693 0.843867 2.900166  0.073
H -1.901220 2.528250 2.421584  0.073
H -2.280973 -0.990997 1.458813  0.101
H -2.616948 -2.662851 -1.054908  0.019
H -4.359110 -2.419012 -1.280635  0.068
H -3.698819 -2.732427 0.333250  0.074
H -4.243712 -0.177379 -2.250999  0.110
O 1.906423 3.081665 -0.889534  0.014
C 1.328052 1.996220 -0.857444  -0.585
O 0.071335 1.797225 -0.732002  -0.121
C 2.187253 0.687350 -0.930423  -0.241
C 3.657780 0.904251 -1.261474  -0.218
C 4.363120 -0.140251 -2.059557  -0.041
C 3.971856 -1.390147 -2.350088  -0.111
C 2.710841 -2.085239 -2.171211  -0.140
C 1.505035 -1.516454 -1.976549  -0.818
S -0.080195 -2.248620 -2.024577  0.456
H 3.876060 1.916832 -1.601081  0.136
H 5.387743 0.117867 -2.316827  0.085
H 4.735578 -2.009477 -2.820042  0.082
H 2.713083 -3.157449 -2.319841  0.079
Br 4.658160 0.158259 3.103048  0.641
C 2.865161 -0.487784 2.825556  -0.607
C 2.256057 -1.037835 3.927392  -0.231
C 0.959641 -1.552716 3.890995  -0.180
C 0.321817 -1.526125 2.632992  -0.166
C 0.899413 -0.971281 1.529533  -0.063
C 2.216448 -0.340239 1.536189  -0.199
C 2.692656 0.252218 0.415119  -0.171
O 4.005452 0.762512 0.150249  -0.073
O 1.404149 -0.148313 -1.823137  -0.172
H 2.823488 -1.066616 4.851929  0.067
H 0.505446 -2.004459 4.762734  0.051
H -0.648938 -2.001304 2.514218  0.079
H 0.394262 -1.096679 0.578622  0.054

Cartesian forces (eV/Å) of the 6 atoms listed first:
Li -0.390 -0.298 -0.102
C -0.042 0.023 -0.012
C 0.028 -0.001 0.030
C 0.010 0.006 -0.025
C 0.025 0.007 -0.044
C -0.028 0.023 0.049

The energy above the lowest of the compared OMol25 structures with the same formula, charge and spin comes out at 5.209 eV. Its highest occupied orbital energy is 0.028 Eh. The molar mass comes out at 479.3 g/mol. The value obtained for the electronic energy is -113448.928 eV. As for the net charge: -2. For the LUMO energy, the calculation gives 4.45 eV.


A single C8H6BrNO3 molecule, computed with ωB97M-V/def2-TZVPD.

Last column: Löwdin charge in e.
Positions of all 19 atoms, in Å:
O -0.613605 2.363292 -1.127296  0.100
C 0.540732 2.035414 -0.944713  -0.374
O 1.244949 2.156370 0.171733  0.057
N 2.354963 1.106630 0.245564  -0.258
O 3.483582 1.569149 0.194060  0.038
C 1.814412 -0.055273 0.107927  -0.627
Br 2.992335 -1.487173 -0.207374  0.870
'''
“Tell me what I have to do.”
Gianna smiles and gently brushes the hair from my cheek. A foreign gesture of love, one which she has never done before.
“What have I taught you about love?”
“Lovemakes you weak. Love will be the death of you,” I reply, thinking back to the night all those years ago when Gianna taught Lenny and me a very valuable lesson.
I didn’t see it then. But now, I do.